(Request)
Could you transcribe all of the material further down exactly?
(Listing)
1.
Structure and calculated X-ray powder pattern of Li2MnV4CuO12 (the GGA+U geometry in the Materials Project; Cu Ka).

Main lines, sorted by position (2θ from 10° to 80°):
2θ/deg  I_rel
13.3  22.0
18.3  22.9
19.3  24.3
23.5  29.2
27.7  100.0
29.3  59.5
32.8  38.2
34.8  27.3
50.9  20.7
52.0  22.0

Structure:
Cell lengths 6.9369, 6.9369, 5.8432 Å; angles 105.53, 105.53, 83.17 degrees
Positions (direct):
Li (0.0000, 0.0000, 0.0000)
Li (0.5163, 0.4837, 0.5000)
Mn (0.6689, 0.3311, 0.0000)
V (0.1460, 0.4439, 0.0223)
V (0.3616, 0.0430, 0.4777)
V (0.5561, 0.8540, 0.9777)
V (0.9570, 0.6384, 0.5223)
Cu (0.8554, 0.1446, 0.5000)
O (0.1071, 0.6049, 0.8101)
O (0.1123, 0.6081, 0.3126)
O (0.1226, 0.1445, 0.4203)
O (0.3891, 0.3468, 0.0879)
O (0.3919, 0.8877, 0.6874)
O (0.3951, 0.8929, 0.1899)
O (0.5370, 0.2265, 0.5989)
O (0.6532, 0.6109, 0.9121)
O (0.7354, 0.0380, 0.0924)
O (0.7735, 0.4630, 0.4011)
O (0.8555, 0.8774, 0.5797)
O (0.9620, 0.2646, 0.9076)

=====

2.
Structure and calculated X-ray powder pattern of Li4Mn3V3Cu2O16 (the GGA+U geometry in the Materials Project; Cu Ka).

Main lines, sorted by position (2θ from 10° to 80°):
2θ/deg  I_rel
18.3  100.0
19.5  58.1
20.1  62.2
20.3  33.6
34.8  45.6
36.1  37.8
36.8  32.3
37.1  53.2
44.8  33.0
63.5  45.6

Structure:
Cell lengths 5.8739, 5.8739, 9.7121 Å; angles 93.51, 93.51, 59.28 degrees
Positions (direct):
Li (0.0000, 0.0000, 0.0000)
Li (0.0068, 0.0068, 0.5015)
Li (0.3104, 0.3104, 0.6060)
Li (0.6435, 0.6435, 0.1038)
Mn (0.1562, 0.1562, 0.2818)
Mn (0.3257, 0.8133, 0.7822)
Mn (0.8133, 0.3257, 0.7822)
V (0.1513, 0.6503, 0.2828)
V (0.6503, 0.1513, 0.2828)
V (0.8201, 0.8201, 0.7849)
Cu (0.3184, 0.3184, 0.0042)
Cu (0.6498, 0.6498, 0.5082)
O (0.0113, 0.4638, 0.1709)
O (0.1502, 0.1502, 0.8913)
O (0.1504, 0.6728, 0.8882)
O (0.3172, 0.8277, 0.3902)
O (0.3214, 0.3214, 0.3906)
O (0.4582, 0.4582, 0.1629)
O (0.4638, 0.0113, 0.1709)
O (0.4922, 0.4922, 0.6757)
O (0.4953, 0.9394, 0.6640)
O (0.6562, 0.6562, 0.8899)
O (0.6728, 0.1504, 0.8882)
O (0.8277, 0.3172, 0.3902)
O (0.8426, 0.8426, 0.3889)
O (0.9394, 0.4953, 0.6640)
O (0.9833, 0.9833, 0.6831)
O (0.9855, 0.9855, 0.1824)

=====

3.
Structure and calculated X-ray powder pattern of Li4Mn3V2Cu3O16 (the GGA+U geometry in the Materials Project; Cu Ka).

Main lines, sorted by position (2θ from 10° to 80°):
2θ/deg  I_rel
18.5  100.0
19.7  49.9
20.0  65.4
36.1  35.8
36.7  41.8
36.9  34.4
40.6  30.7
45.4  34.5
46.1  43.2
63.3  35.5

Structure:
Cell lengths 5.8768, 5.8768, 9.6074 Å; angles 91.48, 91.48, 59.35 degrees
Positions (direct):
Li (0.0000, 0.0000, 0.0000)
Li (0.0030, 0.0030, 0.5077)
Li (0.3289, 0.3289, 0.4147)
Li (0.6763, 0.6763, 0.9184)
Mn (0.1762, 0.1762, 0.7318)
Mn (0.3364, 0.8329, 0.2301)
Mn (0.8329, 0.3364, 0.2301)
V (0.3616, 0.3616, 0.9936)
V (0.6668, 0.6668, 0.5062)
Cu (0.1736, 0.6658, 0.7204)
Cu (0.6658, 0.1736, 0.7204)
Cu (0.8296, 0.8296, 0.2259)
O (0.0045, 0.0045, 0.8093)
O (0.0441, 0.4699, 0.8596)
O (0.1571, 0.1571, 0.1218)
O (0.1795, 0.6576, 0.1026)
O (0.3331, 0.3331, 0.6268)
O (0.3459, 0.8386, 0.6059)
O (0.4699, 0.0441, 0.8596)
O (0.4904, 0.4904, 0.8839)
O (0.4937, 0.9548, 0.3621)
O (0.5147, 0.5147, 0.3462)
O (0.6576, 0.1795, 0.1026)
O (0.6629, 0.6629, 0.1287)
O (0.8226, 0.8226, 0.5768)
O (0.8386, 0.3459, 0.6059)
O (0.9548, 0.4937, 0.3621)
O (0.9981, 0.9981, 0.3190)

=====

4.
Structure and calculated X-ray powder pattern of Li4Nb2V3Cu3O16 (the GGA+U geometry in the Materials Project; Cu Ka).

Main lines, sorted by position (2θ from 10° to 80°):
2θ/deg  I_rel
18.0  60.1
19.2  44.7
19.4  100.0
19.6  99.1
32.6  62.1
34.4  45.7
35.2  53.3
35.6  45.0
44.5  47.6
61.2  52.7

Structure:
Cell lengths 5.8785, 6.0637, 9.8411 Å; angles 88.53, 89.97, 61.03 degrees
Positions (direct):
Li (0.0000, 0.0000, 0.0000)
Li (0.0113, 0.9774, 0.5127)
Li (0.3633, 0.2721, 0.5923)
Li (0.6745, 0.6516, 0.0881)
Nb (0.3351, 0.3302, 0.9976)
Nb (0.6665, 0.6662, 0.4957)
V (0.1673, 0.1743, 0.2771)
V (0.6581, 0.1742, 0.2773)
V (0.8324, 0.3350, 0.7571)
Cu (0.1721, 0.6551, 0.2731)
(Outcome)
1.
Structure and calculated X-ray powder pattern of Li2MnV4CuO12 (the GGA+U geometry in the Materials Project; Cu Ka).

Main lines, sorted by position (2θ from 10° to 80°):
2θ/deg  I_rel
13.3  22.0
18.3  22.9
19.3  24.3
23.5  29.2
27.7  100.0
29.3  59.5
32.8  38.2
34.8  27.3
50.9  20.7
52.0  22.0

Structure:
Cell lengths 6.9369, 6.9369, 5.8432 Å; angles 105.53, 105.53, 83.17 degrees
Positions (direct):
Li (0.0000, 0.0000, 0.0000)
Li (0.5163, 0.4837, 0.5000)
Mn (0.6689, 0.3311, 0.0000)
V (0.1460, 0.4439, 0.0223)
V (0.3616, 0.0430, 0.4777)
V (0.5561, 0.8540, 0.9777)
V (0.9570, 0.6384, 0.5223)
Cu (0.8554, 0.1446, 0.5000)
O (0.1071, 0.6049, 0.8101)
O (0.1123, 0.6081, 0.3126)
O (0.1226, 0.1445, 0.4203)
O (0.3891, 0.3468, 0.0879)
O (0.3919, 0.8877, 0.6874)
O (0.3951, 0.8929, 0.1899)
O (0.5370, 0.2265, 0.5989)
O (0.6532, 0.6109, 0.9121)
O (0.7354, 0.0380, 0.0924)
O (0.7735, 0.4630, 0.4011)
O (0.8555, 0.8774, 0.5797)
O (0.9620, 0.2646, 0.9076)

=====

2.
Structure and calculated X-ray powder pattern of Li4Mn3V3Cu2O16 (the GGA+U geometry in the Materials Project; Cu Ka).

Main lines, sorted by position (2θ from 10° to 80°):
2θ/deg  I_rel
18.3  100.0
19.5  58.1
20.1  62.2
20.3  33.6
34.8  45.6
36.1  37.8
36.8  32.3
37.1  53.2
44.8  33.0
63.5  45.6

Structure:
Cell lengths 5.8739, 5.8739, 9.7121 Å; angles 93.51, 93.51, 59.28 degrees
Positions (direct):
Li (0.0000, 0.0000, 0.0000)
Li (0.0068, 0.0068, 0.5015)
Li (0.3104, 0.3104, 0.6060)
Li (0.6435, 0.6435, 0.1038)
Mn (0.1562, 0.1562, 0.2818)
Mn (0.3257, 0.8133, 0.7822)
Mn (0.8133, 0.3257, 0.7822)
V (0.1513, 0.6503, 0.2828)
V (0.6503, 0.1513, 0.2828)
V (0.8201, 0.8201, 0.7849)
Cu (0.3184, 0.3184, 0.0042)
Cu (0.6498, 0.6498, 0.5082)
O (0.0113, 0.4638, 0.1709)
O (0.1502, 0.1502, 0.8913)
O (0.1504, 0.6728, 0.8882)
O (0.3172, 0.8277, 0.3902)
O (0.3214, 0.3214, 0.3906)
O (0.4582, 0.4582, 0.1629)
O (0.4638, 0.0113, 0.1709)
O (0.4922, 0.4922, 0.6757)
O (0.4953, 0.9394, 0.6640)
O (0.6562, 0.6562, 0.8899)
O (0.6728, 0.1504, 0.8882)
O (0.8277, 0.3172, 0.3902)
O (0.8426, 0.8426, 0.3889)
O (0.9394, 0.4953, 0.6640)
O (0.9833, 0.9833, 0.6831)
O (0.9855, 0.9855, 0.1824)

=====

3.
Structure and calculated X-ray powder pattern of Li4Mn3V2Cu3O16 (the GGA+U geometry in the Materials Project; Cu Ka).

Main lines, sorted by position (2θ from 10° to 80°):
2θ/deg  I_rel
18.5  100.0
19.7  49.9
20.0  65.4
36.1  35.8
36.7  41.8
36.9  34.4
40.6  30.7
45.4  34.5
46.1  43.2
63.3  35.5

Structure:
Cell lengths 5.8768, 5.8768, 9.6074 Å; angles 91.48, 91.48, 59.35 degrees
Positions (direct):
Li (0.0000, 0.0000, 0.0000)
Li (0.0030, 0.0030, 0.5077)
Li (0.3289, 0.3289, 0.4147)
Li (0.6763, 0.6763, 0.9184)
Mn (0.1762, 0.1762, 0.7318)
Mn (0.3364, 0.8329, 0.2301)
Mn (0.8329, 0.3364, 0.2301)
V (0.3616, 0.3616, 0.9936)
V (0.6668, 0.6668, 0.5062)
Cu (0.1736, 0.6658, 0.7204)
Cu (0.6658, 0.1736, 0.7204)
Cu (0.8296, 0.8296, 0.2259)
O (0.0045, 0.0045, 0.8093)
O (0.0441, 0.4699, 0.8596)
O (0.1571, 0.1571, 0.1218)
O (0.1795, 0.6576, 0.1026)
O (0.3331, 0.3331, 0.6268)
O (0.3459, 0.8386, 0.6059)
O (0.4699, 0.0441, 0.8596)
O (0.4904, 0.4904, 0.8839)
O (0.4937, 0.9548, 0.3621)
O (0.5147, 0.5147, 0.3462)
O (0.6576, 0.1795, 0.1026)
O (0.6629, 0.6629, 0.1287)
O (0.8226, 0.8226, 0.5768)
O (0.8386, 0.3459, 0.6059)
O (0.9548, 0.4937, 0.3621)
O (0.9981, 0.9981, 0.3190)

=====

4.
Structure and calculated X-ray powder pattern of Li4Nb2V3Cu3O16 (the GGA+U geometry in the Materials Project; Cu Ka).

Main lines, sorted by position (2θ from 10° to 80°):
2θ/deg  I_rel
18.0  60.1
19.2  44.7
19.4  100.0
19.6  99.1
32.6  62.1
34.4  45.7
35.2  53.3
35.6  45.0
44.5  47.6
61.2  52.7

Structure:
Cell lengths 5.8785, 6.0637, 9.8411 Å; angles 88.53, 89.97, 61.03 degrees
Positions (direct):
Li (0.0000, 0.0000, 0.0000)
Li (0.0113, 0.9774, 0.5127)
Li (0.3633, 0.2721, 0.5923)
Li (0.6745, 0.6516, 0.0881)
Nb (0.3351, 0.3302, 0.9976)
Nb (0.6665, 0.6662, 0.4957)
V (0.1673, 0.1743, 0.2771)
V (0.6581, 0.1742, 0.2773)
V (0.8324, 0.3350, 0.7571)
Cu (0.1721, 0.6551, 0.2731)